### Input
~~~
Structure and calculated X-ray powder pattern of LiSbTe2WO12 (a structure optimized by DFT (PBE+U); Cu Kα, 1.54184 Å).
Kinematic intensities with the Lorentz-polarization factor, no thermal factor.

Most intense lines, 2θ from 10° to 80°, sorted by position:
23.97 deg, rel. 1000
33.48 deg, rel. 342
34.83 deg, rel. 242
42.71 deg, rel. 96
49.09 deg, rel. 166
54.40 deg, rel. 205
56.25 deg, rel. 142
58.97 deg, rel. 68
61.53 deg, rel. 66
61.65 deg, rel. 65

Structural model:
```
LiSbTe2WO12
1.0
5.1545 0.0000 0.0000
-0.0045 5.3569 0.0000
-0.0161 -0.4195 7.4256
Li Sb Te W O
1 1 2 1 12
Direct
0.0000 0.0000 0.0000
0.5004 0.9250 0.7788
0.0016 0.4288 0.7834
0.5031 0.9291 0.2861
0.0021 0.4333 0.2900
0.1051 0.4155 0.0383
0.1721 0.1085 0.7380
0.1993 0.7306 0.3410
0.3014 0.2295 0.3404
0.3129 0.6034 0.7236
0.3735 0.9225 0.0404
0.6282 0.9302 0.5281
0.6993 0.6236 0.2310
0.7062 0.2300 0.8556
0.8077 0.1176 0.2236
0.8180 0.7348 0.8516
0.8856 0.4280 0.5348
```

* * * * *

No. 1
Starting from a cell relaxed with GGA-PBE, the powder X-ray diffraction pattern of Ba2Ti5Bi4O18 was calculated for λ = 1.5418 Å (Cu Kα).
Peak positions follow from Bragg's law for the DFT cell and can differ from measured ones.

```
data_Ba2Ti5Bi4O18
_chemical_formula_sum 'Ba4 Ti10 Bi8 O36'
_symmetry_space_group_name_H-M 'I 4/m m m'
_symmetry_Int_Tables_number 139
_symmetry_space_group_name_Hall '-I 4 2'
_cell_length_a 3.9280
_cell_length_b 3.9280
_cell_length_c 48.7888
_cell_angle_alpha 90.00
_cell_angle_beta 90.00
_cell_angle_gamma 90.00
loop_
_atom_site_label
_atom_site_fract_x
_atom_site_fract_y
_atom_site_fract_z
Ba1 0.0000 0.0000 0.0423
Ti1 0.0000 0.0000 0.3319
Ti2 0.0000 0.0000 0.4153
Ti3 0.0000 0.0000 0.5000
Bi1 0.0000 0.0000 0.1282
Bi2 0.0000 0.0000 0.2245
O1 0.0000 0.0000 0.2952
O2 0.0000 0.0000 0.3762
O3 0.0000 0.0000 0.4579
O4 0.0000 0.5000 0.0000
O5 0.0000 0.5000 0.0852
O6 0.0000 0.5000 0.1606
O7 0.0000 0.5000 0.2500
```

Most intense lines, 2θ from 5° to 70°, sorted by position:
2θ/deg  I (rel.)  hkl
14.52  13  0 0 8
22.71  19  1 0 1
28.05  20  1 0 9
30.40  100  1 0 11
32.23  49  1 1 0
39.28  28  1 1 12
46.22  31  2 0 0
48.77  11  1 0 23
52.83  13  1 1 22
56.33  36  2 1 11

=====

No. 2
Starting from a cell relaxed with GGA-PBE, the powder X-ray diffraction pattern of Mn2CuOs was calculated for λ = 1.5418 Å (Cu Kα).
Peak positions follow from Bragg's law for the DFT cell and can differ from measured ones.

```
data_Mn2CuOs
_chemical_formula_sum 'Mn4 Cu2 Os2'
_symmetry_space_group_name_H-M 'C m m m'
_symmetry_Int_Tables_number 65
_symmetry_space_group_name_Hall '-C 2 2'
_cell_length_a 5.2566
_cell_length_b 7.1862
_cell_length_c 2.6953
_cell_angle_alpha 90.00
_cell_angle_beta 90.00
_cell_angle_gamma 90.00
loop_
_atom_site_label
_atom_site_fract_x
_atom_site_fract_y
_atom_site_fract_z
Mn1 0.2500 0.2500 0.0000
Cu1 0.0000 0.0000 0.5000
Os1 0.0000 0.5000 0.5000
```

Most intense lines, 2θ from 5° to 70°, sorted by position:
2θ/deg  I (rel.)  hkl
20.94  59  1 1 0
24.78  29  0 2 0
33.24  14  0 0 1
34.11  13  2 0 0
39.62  24  1 1 1
41.90  100  0 2 1
42.62  95  2 2 0
48.37  65  2 0 1
50.82  28  0 4 0
55.09  15  2 2 1
~~~

### Exercise
Copy everything further up with every line break kept.

### Outcome
Structure and calculated X-ray powder pattern of LiSbTe2WO12 (a structure optimized by DFT (PBE+U); Cu Kα, 1.54184 Å).
Kinematic intensities with the Lorentz-polarization factor, no thermal factor.

Most intense lines, 2θ from 10° to 80°, sorted by position:
23.97 deg, rel. 1000
33.48 deg, rel. 342
34.83 deg, rel. 242
42.71 deg, rel. 96
49.09 deg, rel. 166
54.40 deg, rel. 205
56.25 deg, rel. 142
58.97 deg, rel. 68
61.53 deg, rel. 66
61.65 deg, rel. 65

Structural model:
```
LiSbTe2WO12
1.0
5.1545 0.0000 0.0000
-0.0045 5.3569 0.0000
-0.0161 -0.4195 7.4256
Li Sb Te W O
1 1 2 1 12
Direct
0.0000 0.0000 0.0000
0.5004 0.9250 0.7788
0.0016 0.4288 0.7834
0.5031 0.9291 0.2861
0.0021 0.4333 0.2900
0.1051 0.4155 0.0383
0.1721 0.1085 0.7380
0.1993 0.7306 0.3410
0.3014 0.2295 0.3404
0.3129 0.6034 0.7236
0.3735 0.9225 0.0404
0.6282 0.9302 0.5281
0.6993 0.6236 0.2310
0.7062 0.2300 0.8556
0.8077 0.1176 0.2236
0.8180 0.7348 0.8516
0.8856 0.4280 0.5348
```

* * * * *

No. 1
Starting from a cell relaxed with GGA-PBE, the powder X-ray diffraction pattern of Ba2Ti5Bi4O18 was calculated for λ = 1.5418 Å (Cu Kα).
Peak positions follow from Bragg's law for the DFT cell and can differ from measured ones.

```
data_Ba2Ti5Bi4O18
_chemical_formula_sum 'Ba4 Ti10 Bi8 O36'
_symmetry_space_group_name_H-M 'I 4/m m m'
_symmetry_Int_Tables_number 139
_symmetry_space_group_name_Hall '-I 4 2'
_cell_length_a 3.9280
_cell_length_b 3.9280
_cell_length_c 48.7888
_cell_angle_alpha 90.00
_cell_angle_beta 90.00
_cell_angle_gamma 90.00
loop_
_atom_site_label
_atom_site_fract_x
_atom_site_fract_y
_atom_site_fract_z
Ba1 0.0000 0.0000 0.0423
Ti1 0.0000 0.0000 0.3319
Ti2 0.0000 0.0000 0.4153
Ti3 0.0000 0.0000 0.5000
Bi1 0.0000 0.0000 0.1282
Bi2 0.0000 0.0000 0.2245
O1 0.0000 0.0000 0.2952
O2 0.0000 0.0000 0.3762
O3 0.0000 0.0000 0.4579
O4 0.0000 0.5000 0.0000
O5 0.0000 0.5000 0.0852
O6 0.0000 0.5000 0.1606
O7 0.0000 0.5000 0.2500
```

Most intense lines, 2θ from 5° to 70°, sorted by position:
2θ/deg  I (rel.)  hkl
14.52  13  0 0 8
22.71  19  1 0 1
28.05  20  1 0 9
30.40  100  1 0 11
32.23  49  1 1 0
39.28  28  1 1 12
46.22  31  2 0 0
48.77  11  1 0 23
52.83  13  1 1 22
56.33  36  2 1 11

=====

No. 2
Starting from a cell relaxed with GGA-PBE, the powder X-ray diffraction pattern of Mn2CuOs was calculated for λ = 1.5418 Å (Cu Kα).
Peak positions follow from Bragg's law for the DFT cell and can differ from measured ones.

```
data_Mn2CuOs
_chemical_formula_sum 'Mn4 Cu2 Os2'
_symmetry_space_group_name_H-M 'C m m m'
_symmetry_Int_Tables_number 65
_symmetry_space_group_name_Hall '-C 2 2'
_cell_length_a 5.2566
_cell_length_b 7.1862
_cell_length_c 2.6953
_cell_angle_alpha 90.00
_cell_angle_beta 90.00
_cell_angle_gamma 90.00
loop_
_atom_site_label
_atom_site_fract_x
_atom_site_fract_y
_atom_site_fract_z
Mn1 0.2500 0.2500 0.0000
Cu1 0.0000 0.0000 0.5000
Os1 0.0000 0.5000 0.5000
```

Most intense lines, 2θ from 5° to 70°, sorted by position:
2θ/deg  I (rel.)  hkl
20.94  59  1 1 0
24.78  29  0 2 0
33.24  14  0 0 1
34.11  13  2 0 0
39.62  24  1 1 1
41.90  100  0 2 1
42.62  95  2 2 0
48.37  65  2 0 1
50.82  28  0 4 0
55.09  15  2 2 1